Activity >
What is needed: give back the contents further down character by character.

Entries >
[1]
PrNd2Cu4Si4: computed powder diffraction line list (a wavelength of 1.5418 Å), based on a cell relaxed with PBE.

Main lines, in order of falling intensity (10 to 90 degrees two-theta):
| 2θ/deg | I (rel.) |
| --- | --- |
| 34.06 | 100 |
| 24.25 | 19 |
| 43.45 | 15 |
| 43.71 | 15 |
| 40.51 | 13 |
| 56.54 | 12 |
| 63.33 | 10 |
| 73.72 | 10 |

Cell and atoms:
Unit cell a=12.242 b=12.242 c=12.242 alpha=160.52 beta=160.41 gamma=27.76
Fractional positions:
Pr: 0.000 0.000 0.000
Nd: 0.151 0.651 0.500
Nd: 0.849 0.349 0.500
Cu: 0.250 0.250 0.000
Cu: 0.403 0.903 0.500
Cu: 0.597 0.097 0.500
Cu: 0.750 0.750 0.000
Si: 0.304 0.804 0.500
Si: 0.449 0.449 0.000
Si: 0.551 0.551 0.000
Si: 0.696 0.196 0.500


[2]
PrNd2Zn2Cu2Si4: computed powder diffraction line list (a wavelength of 1.5418 Å), based on a cell relaxed with PBE.

Main lines, in order of falling intensity (10 to 90 degrees two-theta):
| 2θ/deg | I (rel.) |
| --- | --- |
| 33.87 | 100 |
| 33.51 | 43 |
| 24.08 | 24 |
| 43.52 | 20 |
| 56.12 | 19 |
| 43.66 | 19 |
| 46.34 | 19 |
| 65.45 | 13 |

Cell and atoms:
Unit cell a=12.574 b=12.574 c=12.574 alpha=161.02 beta=160.96 gamma=27.01
Fractional positions:
Pr: 0.000 0.000 0.000
Nd: 0.145 0.645 0.500
Nd: 0.855 0.355 0.500
Zn: 0.250 0.250 0.000
Zn: 0.750 0.750 0.000
Cu: 0.406 0.906 0.500
Cu: 0.594 0.094 0.500
Si: 0.311 0.811 0.500
Si: 0.451 0.451 0.000
Si: 0.549 0.549 0.000
Si: 0.689 0.189 0.500


[3]
PrNd2Zn2Cu2Si4: computed powder diffraction line list (a wavelength of 1.5418 Å), based on a cell relaxed with PBE.

Main lines, in order of falling intensity (10 to 90 degrees two-theta):
| 2θ/deg | I (rel.) |
| --- | --- |
| 33.89 | 100 |
| 43.53 | 43 |
| 33.69 | 43 |
| 24.09 | 28 |
| 39.92 | 21 |
| 56.17 | 19 |
| 63.26 | 14 |
| 46.69 | 13 |

Cell and atoms:
Unit cell a=12.461 b=12.461 c=12.461 alpha=160.81 beta=160.77 gamma=27.29
Fractional positions:
Pr: 0.000 0.000 0.000
Nd: 0.151 0.651 0.500
Nd: 0.849 0.349 0.500
Zn: 0.402 0.902 0.500
Zn: 0.598 0.098 0.500
Cu: 0.250 0.250 0.000
Cu: 0.750 0.750 0.000
Si: 0.302 0.802 0.500
Si: 0.451 0.451 0.000
Si: 0.549 0.549 0.000
Si: 0.698 0.198 0.500


[4]
Nd4Cu3Pt: computed powder diffraction line list (a wavelength of 1.5418 Å), based on a cell relaxed with PBE.

Main lines, in order of falling intensity (10 to 90 degrees two-theta):
| 2θ/deg | I (rel.) |
| --- | --- |
| 31.17 | 100 |
| 35.14 | 66 |
| 39.53 | 66 |
| 39.23 | 58 |
| 34.93 | 55 |
| 27.79 | 52 |
| 39.42 | 51 |
| 33.93 | 46 |

Cell and atoms:
Unit cell a=5.679 b=4.559 c=7.385 alpha=90.00 beta=90.53 gamma=90.00
Fractional positions:
Nd: 0.000 0.000 0.000
Nd: 0.223 0.000 0.507
Nd: 0.499 0.500 0.868
Nd: 0.729 0.500 0.369
Cu: 0.243 0.500 0.219
Cu: 0.486 0.000 0.155
Cu: 0.726 0.000 0.649
Pt: 0.999 0.500 0.724


[5]
NdZnCu2Pt2: computed powder diffraction line list (a wavelength of 1.5418 Å), based on a cell relaxed with PBE.

Main lines, in order of falling intensity (10 to 90 degrees two-theta):
| 2θ/deg | I (rel.) |
| --- | --- |
| 39.03 | 100 |
| 29.58 | 93 |
| 38.21 | 88 |
| 40.94 | 61 |
| 43.84 | 55 |
| 44.27 | 54 |
| 59.53 | 49 |
| 20.06 | 38 |

Cell and atoms:
Unit cell a=5.565 b=8.852 c=4.130 alpha=90.00 beta=90.00 gamma=90.00
Fractional positions:
Nd: 0.000 0.000 0.000
Nd: 0.500 0.500 0.000
Zn: 0.000 0.500 0.500
Zn: 0.500 0.000 0.500
Cu: 0.000 0.341 0.000
Cu: 0.000 0.659 0.000
Cu: 0.500 0.159 0.000
Cu: 0.500 0.841 0.000
Pt: 0.250 0.250 0.500
Pt: 0.250 0.750 0.500
Pt: 0.750 0.250 0.500
Pt: 0.750 0.750 0.500


[6]
NdZn2Cu2Pt: computed powder diffraction line list (a wavelength of 1.5418 Å), based on a cell relaxed with PBE.

Main lines, in order of falling intensity (10 to 90 degrees two-theta):
| 2θ/deg | I (rel.) |
| --- | --- |
| 40.04 | 100 |
| 29.18 | 78 |
| 39.72 | 36 |
| 43.68 | 33 |
| 38.28 | 25 |
| 45.57 | 23 |
| 65.70 | 23 |
| 60.50 | 21 |

Cell and atoms:
Unit cell a=5.182 b=9.405 c=4.144 alpha=90.00 beta=90.00 gamma=90.00
Fractional positions:
Nd: 0.000 0.000 0.000
Nd: 0.500 0.500 0.000
Zn: 0.250 0.250 0.500

Outcome >
[1]
PrNd2Cu4Si4: computed powder diffraction line list (a wavelength of 1.5418 Å), based on a cell relaxed with PBE.

Main lines, in order of falling intensity (10 to 90 degrees two-theta):
| 2θ/deg | I (rel.) |
| --- | --- |
| 34.06 | 100 |
| 24.25 | 19 |
| 43.45 | 15 |
| 43.71 | 15 |
| 40.51 | 13 |
| 56.54 | 12 |
| 63.33 | 10 |
| 73.72 | 10 |

Cell and atoms:
Unit cell a=12.242 b=12.242 c=12.242 alpha=160.52 beta=160.41 gamma=27.76
Fractional positions:
Pr: 0.000 0.000 0.000
Nd: 0.151 0.651 0.500
Nd: 0.849 0.349 0.500
Cu: 0.250 0.250 0.000
Cu: 0.403 0.903 0.500
Cu: 0.597 0.097 0.500
Cu: 0.750 0.750 0.000
Si: 0.304 0.804 0.500
Si: 0.449 0.449 0.000
Si: 0.551 0.551 0.000
Si: 0.696 0.196 0.500


[2]
PrNd2Zn2Cu2Si4: computed powder diffraction line list (a wavelength of 1.5418 Å), based on a cell relaxed with PBE.

Main lines, in order of falling intensity (10 to 90 degrees two-theta):
| 2θ/deg | I (rel.) |
| --- | --- |
| 33.87 | 100 |
| 33.51 | 43 |
| 24.08 | 24 |
| 43.52 | 20 |
| 56.12 | 19 |
| 43.66 | 19 |
| 46.34 | 19 |
| 65.45 | 13 |

Cell and atoms:
Unit cell a=12.574 b=12.574 c=12.574 alpha=161.02 beta=160.96 gamma=27.01
Fractional positions:
Pr: 0.000 0.000 0.000
Nd: 0.145 0.645 0.500
Nd: 0.855 0.355 0.500
Zn: 0.250 0.250 0.000
Zn: 0.750 0.750 0.000
Cu: 0.406 0.906 0.500
Cu: 0.594 0.094 0.500
Si: 0.311 0.811 0.500
Si: 0.451 0.451 0.000
Si: 0.549 0.549 0.000
Si: 0.689 0.189 0.500


[3]
PrNd2Zn2Cu2Si4: computed powder diffraction line list (a wavelength of 1.5418 Å), based on a cell relaxed with PBE.

Main lines, in order of falling intensity (10 to 90 degrees two-theta):
| 2θ/deg | I (rel.) |
| --- | --- |
| 33.89 | 100 |
| 43.53 | 43 |
| 33.69 | 43 |
| 24.09 | 28 |
| 39.92 | 21 |
| 56.17 | 19 |
| 63.26 | 14 |
| 46.69 | 13 |

Cell and atoms:
Unit cell a=12.461 b=12.461 c=12.461 alpha=160.81 beta=160.77 gamma=27.29
Fractional positions:
Pr: 0.000 0.000 0.000
Nd: 0.151 0.651 0.500
Nd: 0.849 0.349 0.500
Zn: 0.402 0.902 0.500
Zn: 0.598 0.098 0.500
Cu: 0.250 0.250 0.000
Cu: 0.750 0.750 0.000
Si: 0.302 0.802 0.500
Si: 0.451 0.451 0.000
Si: 0.549 0.549 0.000
Si: 0.698 0.198 0.500


[4]
Nd4Cu3Pt: computed powder diffraction line list (a wavelength of 1.5418 Å), based on a cell relaxed with PBE.

Main lines, in order of falling intensity (10 to 90 degrees two-theta):
| 2θ/deg | I (rel.) |
| --- | --- |
| 31.17 | 100 |
| 35.14 | 66 |
| 39.53 | 66 |
| 39.23 | 58 |
| 34.93 | 55 |
| 27.79 | 52 |
| 39.42 | 51 |
| 33.93 | 46 |

Cell and atoms:
Unit cell a=5.679 b=4.559 c=7.385 alpha=90.00 beta=90.53 gamma=90.00
Fractional positions:
Nd: 0.000 0.000 0.000
Nd: 0.223 0.000 0.507
Nd: 0.499 0.500 0.868
Nd: 0.729 0.500 0.369
Cu: 0.243 0.500 0.219
Cu: 0.486 0.000 0.155
Cu: 0.726 0.000 0.649
Pt: 0.999 0.500 0.724


[5]
NdZnCu2Pt2: computed powder diffraction line list (a wavelength of 1.5418 Å), based on a cell relaxed with PBE.

Main lines, in order of falling intensity (10 to 90 degrees two-theta):
| 2θ/deg | I (rel.) |
| --- | --- |
| 39.03 | 100 |
| 29.58 | 93 |
| 38.21 | 88 |
| 40.94 | 61 |
| 43.84 | 55 |
| 44.27 | 54 |
| 59.53 | 49 |
| 20.06 | 38 |

Cell and atoms:
Unit cell a=5.565 b=8.852 c=4.130 alpha=90.00 beta=90.00 gamma=90.00
Fractional positions:
Nd: 0.000 0.000 0.000
Nd: 0.500 0.500 0.000
Zn: 0.000 0.500 0.500
Zn: 0.500 0.000 0.500
Cu: 0.000 0.341 0.000
Cu: 0.000 0.659 0.000
Cu: 0.500 0.159 0.000
Cu: 0.500 0.841 0.000
Pt: 0.250 0.250 0.500
Pt: 0.250 0.750 0.500
Pt: 0.750 0.250 0.500
Pt: 0.750 0.750 0.500


[6]
NdZn2Cu2Pt: computed powder diffraction line list (a wavelength of 1.5418 Å), based on a cell relaxed with PBE.

Main lines, in order of falling intensity (10 to 90 degrees two-theta):
| 2θ/deg | I (rel.) |
| --- | --- |
| 40.04 | 100 |
| 29.18 | 78 |
| 39.72 | 36 |
| 43.68 | 33 |
| 38.28 | 25 |
| 45.57 | 23 |
| 65.70 | 23 |
| 60.50 | 21 |

Cell and atoms:
Unit cell a=5.182 b=9.405 c=4.144 alpha=90.00 beta=90.00 gamma=90.00
Fractional positions:
Nd: 0.000 0.000 0.000
Nd: 0.500 0.500 0.000
Zn: 0.250 0.250 0.500